I’m not sure when American public schools began skimming over the first era of our history, 1787-1824, but I’m going to guess sometime after the Civil War, when the two-party system emerged as representing America’s popular choice by around 90% of the electorate.
And when third parties were able to effectively insert themselves, they often had disastrous results; Teddy Roosevelt’s split from the Republicans ushered in Woodrow Wilson and the national income tax and a very moldable term, “Progressivism”, into the Big Government lexicon, and Ross Perot’s personal feud with George HW Bush threw the 1992 election to Bill Clinton, which ushered in White House sextravaganzas, dead bodies in Ft Marcy Park and numerous other dark alleyways. And which has never quite abated, since American politics seems to have been stuck in a time warp of juvenile delinquency, promiscuity, self-worship and indulgence for over 30 years now, only those original delinquents, their noses still red from snorts and blood-shot eyes from booze, are now in their 70’s but still unbloodied by a back of the hand or their mouths still unwashed with Ivory Soap from the owners of the country.
America started out with some of the Founders believing there should only be one political party and that competing political parties was a bad idea. Originally Hamilton and Adams had envisioned a single party, their Federalist Party, but in all logic, that concept was illogical once George Washington poured the cement into our foundation. Out of respect for their collective ideals I’ll consider that as a technical, not a philosophical matter, but agree it’s a tough subject to try to explain to 16-19 year-olds when a teacher has a very limited number of hours to get through 200 years of history. In my junior year in 1962 we barely got past Teddy Roosevelt. This is why I suggest every interested citizen keep a copy of Schweikart and Allen’s Patriot’s History of the United States on the bookshelf as a ready-reference.
America before the Constitution began between Federalists and anti-Federalists, those who favored ratifying the Constitution and those who were against ratifying that particular Constitution as written. There was never any indication that some of the states simply wanted to go it alone. They believed that the greater power should reside with the states (and the People) and not the new federal government, believing the Constitution could be abused simply by “foggying” certain terms, as lawyers are wont to do anyway, conferring greater powers to the federal government in the future, which we all know, 245 years later, has been an undeniable truth; a persistent attempt to broaden federal power at the expense of states and localities largely based on the fact that the federal government is much harder to get at with a hanging rope, and much better at redistributing our money once Wilson could his hands on it with the national income tax.
What we should know is that over that 245 year history of squabbling between parties, those opening three lines of the Constitution, “We the People” have been rendered less and less meaningful to the now-millions who run the government, many even thinking they own it. And all thinking they are above the people.
The common sense Anti-Federalists foresaw this and while they still wanted a “union”, they wished for the greater power to reside with the states. And they were willing to withhold their agreement to the new constitution unless they could get it. The Federalists, Hamilton and Adams high among them, argued that all those fears were included-by-inference in the Constitution, protected by the difficult amendment-process to the Constitution.
It would be May 1787- to- May 1790, 3 years, before all 13 states would finally sign on. History glosses over just how long that took to get all thirteen to ink their agreement, but there were dozens of serious writings, not just the The Federalist Papers (see this much longer list). What would be taught to America’s 16 year-olds would be taught was simply that the Anti-Federalists had largely agreed to the Constitution once it were amended, if it would add ten new amendments, known affectionately by the People as the Bill of Rights, ratified Dec 15, 1791 and less affectionately by Barack Obama and his crowd who believes it is a “a charter of negative liberties” limiting what the government can do to us.
In retrospect it seems the Anti-Federalists saved America before it was even born, because were it not for all those guns we still possess (2nd Amendment) even Woodrow Wilson might have tried a power play.
But also laying nearly buried for many years was the Tenth Amendment which now may be our final frontier, for it declared that “all powers not delegated to the United States shall be reserved to the States, or to the people.”
• Here the page breaks off for crystal structures:
+++
Density functional theory data (GGA-PBE) for a relaxed structure of NdPu2Ni9.

POSCAR file:
```
NdPu2Ni9
1.0
-1.411 -4.765 -0.214
3.190 -3.470 -1.589
3.190 -3.856 7.042
Nd Pu Ni
1 2 9
Direct
0.000 0.000 0.000
0.857 0.857 0.429
0.143 0.143 0.571
0.667 0.667 0.999
0.333 0.333 0.001
0.500 0.500 0.500
0.417 0.417 0.248
0.918 0.417 0.248
0.417 0.918 0.248
0.583 0.583 0.752
0.583 0.082 0.752
0.082 0.583 0.752
```

Computed properties:
uncorrected energy = -0.272 hartree per atom
symmetry = R-3m, No. 166

=====

Density functional theory data (GGA-PBE) for a relaxed structure of PuIn2Cu.

POSCAR file:
```
PuIn2Cu
1.0
-1.619 -2.894 -0.056
0.669 -2.228 -2.363
6.406 -5.577 4.744
Pu In Cu
1 2 1
Direct
0.500 0.500 0.499
0.070 0.070 0.790
0.263 0.263 0.210
0.666 0.666 0.001
```

Computed properties:
symmetry = R3m, No. 160
energy relative to the lowest polymorph listed for this composition = 200 meV per atom

=====

Density functional theory data (GGA-PBE) for a relaxed structure of K2Ge2As.

POSCAR file:
```
K2Ge2As
1.0
-6.971 1.695 -0.140
-0.273 -0.532 7.150
1.277 5.291 0.442
K As Ge
4 2 4
Direct
0.192 0.692 0.500
0.692 0.808 0.500
0.808 0.308 0.500
0.308 0.192 0.500
0.000 0.000 0.000
0.500 0.500 0.000
0.380 0.880 0.000
0.880 0.620 0.000
0.620 0.120 0.000
0.120 0.380 0.000
```

Computed properties:
uncorrected energy = -0.120 hartree per atom
symmetry = P4/mbm, No. 127

=====

Density functional theory data (GGA-PBE) for a relaxed structure of LiTiPH2.

POSCAR file:
```
LiTiPH2
1.0
-1.197 2.402 2.569
-0.037 -3.578 3.328
3.517 0.795 0.895
P Li H Ti
1 1 2 1
Direct
0.000 0.000 0.000
0.500 0.500 0.500
0.000 0.000 0.500
0.500 0.000 0.000
0.000 0.500 0.000
```

Computed properties:
uncorrected energy = -0.140 hartree per atom
symmetry = P4/mmm, No. 123

=====

Density functional theory data (GGA-PBE) for a relaxed structure of Te2RuCl.

POSCAR file:
```
Te2RuCl
1.0
-2.290 4.631 0.712
-2.248 -3.701 2.906
2.147 0.674 2.520
Cl Ru Te
1 1 2
Direct
0.500 0.000 0.500
0.000 0.500 0.500
0.000 0.000 0.000
0.500 0.500 0.000
```

Computed properties:
energy relative to the elements, uncorrected = 0.609 eV/atom
symmetry = Cmmm, No. 65
energy relative to the lowest polymorph listed for this composition = 813 meV per atom

=====

Density functional theory data (GGA-PBE) for a relaxed structure of CoRuPb2.

POSCAR file:
```
CoRuPb2
1.0
4.103 -2.053 1.038
1.823 0.435 4.315
0.110 -3.709 2.892
Pb Ru Co
2 1 1
Direct
0.250 0.250 0.250
0.750 0.750 0.750
0.500 0.500 0.500
0.000 0.000 0.000
```

Computed properties:
symmetry = Fm-3m, No. 225
energy relative to the lowest polymorph listed for this composition = 208 meV per atom

=====

Density functional theory data (GGA-PBE) for a relaxed structure of OsPdAu2.

POSCAR file:
```
OsPdAu2
1.0
0.000 3.212 3.212
3.212 0.000 3.212
3.212 3.212 0.000
Os Au Pd
1 2 1
Direct
0.500 0.500 0.500
0.250 0.250 0.250
0.750 0.750 0.750
0.000 0.000 0.000
```

Computed properties:
symmetry = Fm-3m, No. 225
+++
States Rights writ large.
States Rights has a checkered history in the minds of school kids, largely because the slave states used it as a Constitutional defense for their secession. Other states in the north had also considered secession, by the way, on other matters, from westward expansion to tariffs, but only the South pulled the trigger.
Then, after the Civil War the mainstream of the Democratic Party in the North moved to become the party of the workers and their the unions. But in the South, with the 10th Amendment, it re-emerged as the party of Jim Crow using state laws to hold in second-class citizen-bondage the people the survivors of the Civil War considered to be the reason for their humiliation.; to maintain the old status quo. Covering 13 states, they were a major cog of both the Wilson and FDR administrations, covering nearly a century.
How the modern Democrats of today were able to erase in history their role in both slavery and Jim Crow feudalism was to walk away from the 10th Amendment states rights of Jim Crow and replace it with a paternalistic management system of those same 2nd Class citizens by building special housing for them and sending them monthly checks, but all from the federal level.
In that way they were able to maintain control, yet be able to take a bow to History as having been the party that buried the idea of states rights idea of the 10th Amendment, while also being able, through carefully scripted media propaganda, to sell the idea that it was not they who in fact had for generations turned black people into lawn jockeys in the first place. Sleight of hand.
After the November 2020 election, the sheer transparent audacity of the election heists (plural) that took place were so bodacious that voters just assumed the Supreme Court would rush in and set aside not only the results of several states, but some of the election practices in several of the states on the simple observable fact they could easily be cheated. And that this suppression of the equal rights of voters would outweigh any competing right a state might claim under Article 1, Section 4 (The Elections Clause of the Constitution).
We were wrong.
But the bigger mistake (yet to be proved) the Democrats made was in bringing back the 10th Amendment for the voters of several states, who saw their votes nakedly stolen; not just Pennsylvania, Arizona, Georgia, Michigan, Wisconsin, but a bevy of others, (including my Virginia), to cause them to punish state officials and undo their actions, not just for one election, but all elections going forward.
I’m sure Donald Trump knew this, and while we have been sitting around doing what we do best, complain, perhaps he is signaling to us that if we want to win clearly some doors need to be kicked in down at the state capital and in local government offices, which loud voices alone can’t do.
Maybe the long game would provide the more long-lasting win. Maybe the only permanent fix will be the fix we impose from the ground up.
That’s my point here, only on a more cosmic note.
I recently wrote a chapter for a book titled “The Thin Red Line” which traces Gods plan from Abraham to Israel to Jesus to Europe and then to America. It’s much too long for blog-readers’ tastes, especially since it mentions God, but you can read it at UnwashedPatriots.com where it will remain in unedited form until the book is published. It’s not about state’s rights, or federalism, but is about the people’s responsibility to pick up after themselves, which we really have done very poorly for a couple of generations, including my own. And it seems the predictability of our laziness to do so has been baked into all the plans hatched by our enemies…namely that we will always complain a bit, even screech as far as Facebook or Twitter can carry our voices, but in the end what we will not do is get up off our arses and drive that three miles to the school district, twenty miles to the county seat, 100 miles to the state capitol…to meet those representatives face to face and make the appropriate threats (to skin them alive….my words)….
1.
# Tb3Ho3Th2 | Alexandria via LeMat-Bulk | PBE | relaxed
data_Tb3Ho3Th2
_chemical_formula_sum 'Tb6 Ho6 Th4'
_symmetry_space_group_name_H-M 'I m m m'
_symmetry_Int_Tables_number 71
_symmetry_space_group_name_Hall '-I 2 2'
_cell_length_a 5.0263
_cell_length_b 5.0263
_cell_length_c 20.1662
_cell_angle_alpha 90.00
_cell_angle_beta 90.00
_cell_angle_gamma 90.00
loop_
_atom_site_label
_atom_site_fract_x
_atom_site_fract_y
_atom_site_fract_z
Tb1 0.0000 0.0000 0.0000
Tb2 0.0000 0.5000 0.1273
Ho1 0.0000 0.0000 0.5000
Ho2 0.0000 0.5000 0.3730
Th1 0.0000 0.0000 0.2499
# Total magnetic moment = 0.00 μB per formula unit
# Density = 9.4 g/cm3
# Formation enthalpy at 0 K = 24 meV/atom
# Crystal system = orthorhombic
# Polymorph energy (0 for the lowest one) = 0.00 kJ per mole of atoms
# Volume = 31.8 Å³/atom

***

2.
# Ba7Tl2O2 | Alexandria via LeMat-Bulk | PBE | relaxed
data_Ba7Tl2O2
_chemical_formula_sum 'Ba14 Tl4 O4'
_symmetry_space_group_name_H-M 'C 1 2/m 1'
_symmetry_Int_Tables_number 12
_symmetry_space_group_name_Hall '-C 2y'
_cell_length_a 11.4036
_cell_length_b 13.5328
_cell_length_c 7.1906
_cell_angle_alpha 90.00
_cell_angle_beta 102.85
_cell_angle_gamma 90.00
loop_
_atom_site_label
_atom_site_fract_x
_atom_site_fract_y
_atom_site_fract_z
Ba1 0.0000 0.0000 0.0000
Ba2 0.1267 0.5000 0.7645
Ba3 0.2444 0.3453 0.2569
Tl1 0.0000 0.2855 0.5000
O1 0.2168 0.0000 0.9237
# Total magnetic moment = 0.00 μB per formula unit
# Density = 4.3 g/cm3
# Crystal system = monoclinic
# ΔE_f (raw) = -0.96 eV per atom
# Volume = 49.2 Å³/atom

***

3.
# TbErHgRu | Alexandria via LeMat-Bulk | PBE | relaxed
data_TbErHgRu
_chemical_formula_sum 'Tb1 Er1 Hg1 Ru1'
_symmetry_space_group_name_H-M 'P 4 m m'
_symmetry_Int_Tables_number 99
_symmetry_space_group_name_Hall 'P 4 -2'
_cell_length_a 3.4682
_cell_length_b 3.4682
_cell_length_c 7.5102
_cell_angle_alpha 90.00
_cell_angle_beta 90.00
_cell_angle_gamma 90.00
loop_
_atom_site_label
_atom_site_fract_x
_atom_site_fract_y
_atom_site_fract_z
Tb1 0.0000 0.0000 0.0000
Er1 0.0000 0.0000 0.5597
Hg1 0.5000 0.5000 0.2855
Ru1 0.5000 0.5000 0.7758
# Total magnetic moment = 0.00 μB per formula unit
# Density = 11.5 g/cm3
# Formation enthalpy at 0 K = -492 meV/atom
# Crystal system = tetragonal
# Polymorph energy (0 for the lowest one) = 0.00 kJ per mole of atoms
# Volume = 22.6 Å³/atom

***

4.
# Sr3In4Bi4 | Alexandria via LeMat-Bulk | PBE | relaxed
data_Sr3In4Bi4
_chemical_formula_sum 'Sr6 In8 Bi8'
_symmetry_space_group_name_H-M 'I m m m'
_symmetry_Int_Tables_number 71
_symmetry_space_group_name_Hall '-I 2 2'
_cell_length_a 4.6599
_cell_length_b 9.9158
_cell_length_c 16.4323
_cell_angle_alpha 90.00
_cell_angle_beta 90.00
_cell_angle_gamma 90.00
loop_
_atom_site_label
_atom_site_fract_x
_atom_site_fract_y
_atom_site_fract_z
Sr1 0.0000 0.0000 0.0000
Sr2 0.0000 0.5000 0.1158
In1 0.0000 0.2911 0.3196
Bi1 0.0000 0.0000 0.2183
Bi2 0.0000 0.2170 0.5000
# Total magnetic moment = 0.00 μB per formula unit
# Density = 6.8 g/cm3
End of the records of crystals:
…when the mere knowledge that we might go that extra mile scares the bejeezus out of them…if they were only reminded of it from time to time.
For almost two centuries, from town to county to state, that was the glue that made this entire federal experiment work/
This requires a type of tithe, a tithe of time, which once was a regular part of citizens’ lives in America’s first century; meeting with neighbors, citizens committees, demanding face-to-face meetings. It was once a regular part of the citizen’s tool kit to survive against what, even at the local level, citizens knew politicians and bureaucrats would try to do if they thought their backs were turned.
Whether you believe in God or not, or believe He had anything to do with the creation of the United States, you cannot wrap your arms around Federalism unless you can re-acquaint yourself with the hard, simple truth that the most important moving part of the Constitution are it first three words which reads “We the People”.
I think Donald Trump believes the “long game” may be better since it can only be accomplished with a far more active participation of the people of the several states (it required only about a third in the American Revolution, and that was when being a Patriot could be a hanging offense).
The 10th Amendment could mean the real return of America’s lost army.